Our TeamKatie Steuernagle

Katie Steuernagle

**Here the page breaks off for records of molecules**
=====
1.
This record from the Open Molecules 2025 dataset describes 2 unconnected molecules or ions with the total composition C7H14N2O3 at a distorted geometry. The level of theory is ωB97M-V with the def2-TZVPD basis set.

Geometry (Å):
C (-0.6539, 0.8198, 1.5371)
C (-1.7905, -0.0465, 0.9347)
C (-1.3028, -0.9194, -0.2632)
C (-1.5593, -2.4326, -0.4038)
C (-0.2456, -1.8955, -0.0920)
C (0.9964, -2.2036, -0.1329)
C (-0.2669, 1.9963, 0.6058)
H (2.6925, -0.0966, -4.3733)
H (2.0963, 1.0092, -2.1745)
H (3.3469, 1.8626, -2.8362)
H (-0.4474, 0.5009, 3.6139)
H (-1.7569, 1.5401, 3.1149)
H (0.2838, 0.1935, 1.5172)
H (-2.0608, -0.7750, 1.6277)
H (-2.6611, 0.5705, 0.6542)
H (-1.1634, -0.3437, -1.1577)
H (-2.1135, -2.9709, 0.3422)
H (-1.7298, -2.7960, -1.3939)
H (1.4473, -3.1479, -0.1974)
H (1.6977, -1.3438, -0.2505)
H (0.2739, 2.8819, 2.2950)
N (2.5646, 1.1963, -3.0687)
N (-0.7980, 1.3081, 2.9533)
O (3.2577, -0.0259, -3.5411)
O (0.3034, 3.0063, 1.2701)
O (-0.4107, 2.1119, -0.5813)

Atoms 1-2, force components in eV/Å:
C 0.871 -0.483 -0.387
C 0.990 0.360 -1.485

## Properties
* maximum force: 3.78 eV/Å
* SMILES: C=C1C[C@H]1C[C@H](N)C(=O)O.NO
* HOMO level: -9.8 eV
* multiplicity: 1
* LUMO level: 0.535 eV
* molecular weight: 174.2 g mol⁻¹
* relative energy (zero: lowest compared OMol25 entry of this formula, charge and spin): 508.1 kJ/mol
* frontier orbital gap: 10.31 eV
* calculated total energy: -16604.7145 eV

Löwdin population analysis, charges in e, atoms 1 to 2:
1 C -0.27
2 C -0.09

***

2.
This record from the Open Molecules 2025 dataset describes 2 unconnected molecules or ions with the total composition C7H14N2S at a distorted geometry. The level of theory is ωB97M-V with the def2-TZVPD basis set.

Geometry (Å):
C (-0.5991, 2.8934, 0.4917)
C (-0.6181, 2.0258, -0.7365)
C (-1.6885, 1.7483, -1.5261)
C (0.1659, 0.9450, -2.4508)
N (0.5280, 1.4952, -1.3001)
N (-1.1730, 1.1097, -2.6180)
H (0.3403, 3.3675, 0.6985)
H (-0.8505, 2.3753, 1.4255)
H (-2.7344, 2.0159, -1.5849)
H (0.8638, 0.4234, -3.0808)
H (-1.7228, 0.5984, -3.2870)
H (-1.4253, 3.6151, 0.3969)
C (1.3551, -1.1786, 0.4370)
C (0.7424, -2.3311, -0.3418)
C (0.2269, -1.9988, 2.9190)
S (0.1802, -0.5988, 1.7723)
H (2.2247, -1.5577, 1.0099)
H (1.7083, -0.2921, -0.0844)
H (1.3598, -2.6203, -1.2067)
H (-0.1762, -2.0313, -0.8847)
H (1.2685, -2.2395, 3.1462)
H (-0.2550, -1.7549, 3.8598)
H (-0.2804, -2.9006, 2.5653)
H (0.5594, -3.1091, 0.3797)

Atoms 1-2, force components in eV/Å:
C -1.344 -0.432 0.367
C 0.615 0.355 0.553

## Properties
* maximum force: 1.96 eV/Å
* SMILES: Cc1c[nH]cn1.CCSC
* HOMO level: -8.2 eV
* multiplicity: 1
* LUMO level: 0.900 eV
* molecular weight: 158.3 g mol⁻¹
* relative energy (zero: lowest compared OMol25 entry of this formula, charge and spin): 72.0 kJ/mol
* frontier orbital gap: 9.09 eV
* calculated total energy: -21301.1761 eV

Löwdin population analysis, charges in e, atoms 1 to 2:
1 C -0.05
2 C -0.36

***

3.
=====

About Me

Apartment Therapy contributor and manic crafter. Float like a butterfly, sting like bedazzler.

Latest Stories

A Trader Joe-Bot Costume for Halloween
Are you a Trader Joe’s fan? Here’s a costume you can knock out really easily. Just save up some packaging and build your own Trader Joe-Bot, a humanoid protocol droid that offers everything from quick meals to flowers to free samples hidden in his chest panel. This is the last in our series this week of fun and goofy Halloween costumes for food-lovers. We hope that you liked them all! All of these costumes are designed to be relatively easy (and not too expensive) to make.
Jun 8, 2019
A Sriracha Jumped the Shark Costume for Halloween
Sriracha has reached maximum cultural saturation. He now flavors everything from potato chips to ice cream, and is even headed to Taco Bell. So he’s getting a bit worried about how to keep your affection. What does he have to do next to retain his place as hipster condiment of choice? Jump a shark? So be it. You can be this obnoxiously ubiquitous condiment with a couple of yards of inexpensive faux leather, a paint pen, and, of course, an inflatable shark.
Jun 8, 2019
A Funfetti Mug Cake Costume for Halloween
If you have the urge to dress up as a trendy confection this Halloween, go one step beyond the average cupcake to become this Funfetti mug cake. (Because we know you love mug cakes.) Of course, the mug has to be clear to get the full effect of all those sprinkles, so check out this tutorial for how to create your own lifesize sweet costume using a shower curtain and two feet of plumbing tubing. (Microwave not included.
Jun 8, 2019
A Quinoa Woman Costume for Halloween
Inspired by Lynda Carter as Wonder Woman in her Paradise Island mini skirt, Quinoa Woman is an earthy feminine goddess member of the League of Super Foods. With her grain sack cape and her fork bangles, she has been known to pair up with Captain Kale for an occasional dinner. All you need to become this superhero is some burlap, some cardboard, and a whole lotta pom pom trim. Read on to complete your Halloween transformation to Quinoa Woman.
Jun 8, 2019
A Captain Kale Costume for Halloween
Faster than a speeding Magic Bullet, more powerful than your mom’s stand mixer, he’s one of the founding members of the League of Super Foods. He’s Captain Kale! He’s a super hero who can kick free radical butt and support healthy brain development. Last week we introduced Captain Kale as a star of Ariel’s Spooky Colorful Halloween party, and this week we’ll show you how to get the look, all the way from the ruffles to the twist tie belt.
Jun 8, 2019
5 Fun DIY Halloween Costumes for People Who Love Food
Some people use Halloween as an excuse to dress up as something slightly scandalous or downright scary. Us? Well, we will basically only consider a costume if it’s vaguely food-related. We made these costumes a few years ago for a party we were throwing, and they still totally hold up. All of them were designed to be relatively easy (and not too expensive) to make. None require more than a quick trip to the fabric or hardware store for some super-basic equipment. Take a look.
May 1, 2019